• What to do:
Please search the lines further down for the word "C4H6OS" and set down each line that has it.

• Material:
ORCA calculation (the ωB97M-V functional and the def2-TZVPD basis) on a cluster of 2 separate species, C4H6OS in total in a non-equilibrium geometry.

2S+1 = 1
Charge = 0
HOMO-LUMO gap (alpha / beta) = 8.32 / 8.28 eV
ΔE to the lowest compared entry with this formula, charge and spin = 635.1 kJ/mol
HOMO level (alpha / beta) = -7.9 / -7.7 eV
Max |F| = 0.0503 Eh/bohr

Geometry (Å):
C (-2.381, -0.809, -0.110)
C (-2.265, -1.999, -0.105)
C (1.826, 2.265, -0.076)
C (0.925, 0.096, -0.566)
O (1.055, 1.407, -0.724)
S (1.811, -1.130, 0.430)
H (-2.325, 0.293, 0.022)
H (-2.163, -2.993, 0.033)
H (1.664, 3.245, -0.352)
H (2.316, 2.083, 0.811)
H (0.449, -0.427, -1.409)
H (1.165, -0.850, 1.575)

~~~~~

C39H70EuGeN2O7SSe | ωB97M-V with the def2-TZVPD basis set

```
122
Properties=species:S:1:pos:R:3:forces:R:3:lowdin_charge:R:1
Eu -0.79592 0.32705 0.25782 2.92 -1.03 -0.90 2.07
C 0.92338 -1.22731 3.02277 0.55 -1.34 0.06 -0.11
N 1.20817 0.12780 2.64283 -0.01 -0.07 -1.55 -0.30
C 0.66180 1.05601 3.56417 -0.66 0.48 2.61 -0.13
C 2.61444 0.33955 2.28310 -0.60 0.39 0.93 -0.20
C 2.98259 -0.15320 0.91470 -0.99 -0.53 -1.17 -0.16
N 2.22389 0.53883 -0.17503 -0.92 0.41 0.42 -0.19
C 2.43430 -0.04132 -1.48783 -1.23 -0.10 -0.34 -0.15
C 2.40595 -1.55898 -1.58830 0.09 0.45 0.39 -0.14
C 3.47564 -2.17320 -2.19445 -0.28 -1.65 0.21 -0.01
C 3.50052 -3.60132 -2.30243 -0.87 0.74 -0.53 -0.19
C 2.42326 -4.29999 -1.75789 0.07 0.82 -0.93 0.02
C 1.26944 -3.67364 -1.24859 0.05 -1.52 -0.05 -0.09
C 1.27270 -2.29911 -1.06798 1.29 1.13 -0.48 -0.34
O 0.35614 -1.65770 -0.41301 -1.45 1.44 0.37 -0.26
C 0.11154 -4.54020 -0.73782 -1.75 0.44 0.47 -0.51
C 0.06639 -6.00169 -1.17152 1.88 0.11 -0.50 -0.08
C 0.18867 -4.48964 0.78507 -0.19 0.70 -0.36 -0.05
C -1.33491 -4.02652 -1.10251 0.21 1.63 1.37 -0.05
C 4.62402 -4.27186 -3.11662 -0.36 1.03 0.54 -0.54
C 4.75909 -3.56607 -4.51609 -0.14 -0.65 -0.46 -0.05
C 5.80853 -4.01317 -2.16560 2.52 0.82 -0.62 -0.07
C 4.38464 -5.73873 -3.43795 0.48 0.14 -0.74 -0.07
C 2.51009 2.02057 -0.19582 0.67 -0.79 2.54 -0.14
C 1.97807 3.09303 -1.08559 -1.31 0.69 -2.08 -0.12
C 2.81531 4.06143 -1.70091 -0.46 -0.49 0.16 0.00
C 2.30117 5.22833 -2.29679 -0.91 -0.36 -0.24 -0.20
C 0.89664 5.32057 -2.41621 2.00 0.54 0.26 -0.01
C 0.05199 4.39050 -1.89455 -2.71 -0.22 -0.06 -0.08
C 0.54131 3.23816 -1.26730 2.50 0.50 0.34 -0.34
O -0.23604 2.33269 -0.79697 -1.45 -2.28 1.32 -0.27
C -1.52997 4.61645 -2.01467 1.04 1.32 0.46 -0.49
C -2.20151 4.91638 -0.63175 1.22 -1.11 -0.29 -0.04
C -1.79415 5.90227 -2.84990 -0.37 -0.91 -0.81 -0.09
C -2.25094 3.42399 -2.62815 -0.27 -0.36 1.27 -0.06
C 3.19134 6.33326 -2.87933 0.38 -0.67 -0.11 -0.51
C 3.66665 5.84963 -4.30312 1.62 -0.28 1.66 -0.06
C 4.45098 6.45402 -1.90242 -0.42 0.47 -1.06 -0.05
C 2.48307 7.71990 -3.06045 0.48 -0.43 0.81 -0.07
H 1.24815 -1.50746 4.04528 -0.01 0.56 0.08 0.09
H 1.52444 -1.89969 2.38876 -0.63 0.11 -0.08 0.08
H -0.14397 -1.44041 2.93820 0.29 -0.12 -0.04 0.06
H 0.92104 0.79007 4.66423 0.13 0.46 -1.34 0.11
H -0.44833 0.99834 3.56103 0.95 0.27 -0.07 0.06
H 0.99343 2.09076 3.35331 -0.27 -0.49 0.07 0.09
H 3.25129 -0.17953 3.02955 0.05 0.39 -0.18 0.13
H 2.76999 1.43481 2.32633 0.29 -0.68 0.26 0.11
H 2.80726 -1.25485 0.78877 -0.07 1.01 0.19 0.13
H 4.05503 -0.03568 0.82833 0.66 0.27 -0.36 0.12
H 3.35006 0.41936 -1.83923 0.60 -0.41 -0.77 0.11
H 1.60269 0.33702 -2.13296 0.53 0.01 0.27 0.14
H 4.31208 -1.56922 -2.53561 -0.14 -0.07 -0.11 0.11
H 2.44968 -5.37111 -1.83596 -0.20 -0.26 -0.03 0.08
H 1.00795 -6.52315 -0.87716 -0.82 -0.01 0.18 0.08
H 0.09782 -6.02127 -2.26310 -0.40 -0.25 -0.12 0.08
H -0.83439 -6.48100 -0.78006 0.34 -0.08 -0.07 0.08
H 1.14195 -4.81488 1.09655 1.27 -0.76 0.46 0.07
H -0.56753 -5.08813 1.25055 -0.57 -0.34 0.33 0.08
H 0.12504 -3.46435 1.12089 -0.38 0.27 0.12 0.06
H -1.53174 -3.88792 -2.14345 0.20 -0.21 -1.01 0.06
H -1.50379 -2.98574 -0.66688 0.11 -1.57 -0.30 0.07
H -2.09557 -4.73856 -0.71812 0.47 0.48 -0.02 0.08
H 5.22122 -2.58382 -4.47472 -0.04 0.13 0.11 0.06
H 3.80198 -3.48711 -5.10397 0.54 0.03 1.10 0.10

• Done:
ORCA calculation (the ωB97M-V functional and the def2-TZVPD basis) on a cluster of 2 separate species, C4H6OS in total in a non-equilibrium geometry.